How do you express your love? And how do you know when somebody is expressing their love to you? Well, it’s hard to answer these questions. Fortunately, this is where love languages come in– a concept that we’ve probably encountered at least once. But, unlike previous encounters, here’s when we’ll discover how love languages play a role in digital marketing. Yes, you read that right, love is present in the online space. So come and join us today as we uncover more about the digital world and how we can be fluent in the (love) languages it uses!
Love Languages in the Digital Marketing Scene
The Five Love Languages is a concept that was first introduced by Dr. Gary Chapman in his book of the same name. According to Chapman, people prefer to express and receive love in their own unique ways. In order to better understand this, he decided to formulate the five love languages we know today. These are Words of Affirmation, Physical Touch, Receiving Gifts, Quality Time, and Acts of Service. If you still don’t know what your love language is, you can easily take a test here to find out.
We agree with Dr. Chapman, and we are certain that these love languages extend to the virtual world (and through digital marketing, no less). This virtual world always seems to be on-the-go and things are always changing; and the one constant thing in it has got to be love (and sure, change too). Thus, we need to be able to speak these love languages well– especially to our favorite brands and pages. The only way to know if we’re already fluent in it is through the ever-so-reliable social media metrics.

********
Computed PXRD pattern of Li2Ni3SbO8 for Cu Kα (λ = 1.5418 Å), from a GGA+U-relaxed structure.

The 10 most intense peaks (2θ from 15° to 90°), low angle first:
h k l, 2theta, d/Å, I/Imax
0 1 -1, 18.42, 4.816, 100
1 -1 0, 18.52, 4.792, 50
0 1 1, 34.61, 2.591, 23
1 1 -2, 35.11, 2.556, 18
0 0 2, 36.31, 2.474, 25
0 2 -2, 37.34, 2.408, 16
0 2 0, 42.40, 2.132, 28
2 0 -2, 42.57, 2.124, 27
2 -2 2, 44.44, 2.039, 24
2 2 -2, 62.24, 1.492, 16

Atomic structure:
abc: 5.818 5.832 5.963
angles: 118.02 92.34 118.36
Space group P-1 (No. 2)
Asymmetric unit:
Li  0.125  0.259  0.383 x2
Ni  0.000  0.500  0.000 x1
Ni  0.500  0.000  0.000 x1
Ni  0.500  0.500  0.000 x1
Sb  0.500  0.000  0.500 x1
O  0.258  0.524  0.238 x2
O  0.259  0.995  0.255 x2
O  0.268  0.543  0.811 x2
O  0.284  0.016  0.760 x2


Computed PXRD pattern of Li2Ti2MnNiO8 for Cu Kα (λ = 1.5418 Å), from a GGA+U-relaxed structure.

The 10 most intense peaks (2θ from 15° to 90°), low angle first:
h k l, 2theta, d/Å, I/Imax
0 0 1, 18.12, 4.895, 39
1 1 0, 18.30, 4.849, 100
2 0 -1, 18.42, 4.817, 34
1 1 -2, 35.21, 2.549, 22
3 1 0, 35.51, 2.528, 43
2 2 -2, 42.96, 2.105, 65
4 0 0, 43.23, 2.093, 32
3 3 -2, 56.94, 1.617, 13
2 2 2, 62.16, 1.493, 19
6 2 -2, 63.00, 1.475, 20

Atomic structure:
abc: 10.196 5.949 5.962
angles: 90.00 124.81 90.00
Space group C2/m (No. 12)
Asymmetric unit:
Li  0.124  0.000  0.362 x4
Ti  0.250  0.250  0.000 x4
Mn  0.000  0.500  0.000 x2
Ni  0.000  0.500  0.500 x2
O  0.015  0.275  0.781 x8
O  0.236  0.500  0.216 x4
O  0.248  0.500  0.784 x4


Computed PXRD pattern of Rb3Mn3P3O10F7 for Cu Kα (λ = 1.5418 Å), from a GGA+U-relaxed structure.

The 10 most intense peaks (2θ from 15° to 90°), low angle first:
h k l, 2theta, d/Å, I/Imax
3 1 1, 25.28, 3.523, 100
3 1 -3, 25.46, 3.498, 38
2 2 1, 26.36, 3.382, 23
2 2 -3, 29.47, 3.031, 15
1 3 0, 30.45, 2.936, 11
5 1 -2, 30.75, 2.907, 12
4 2 -2, 30.99, 2.886, 11
0 0 4, 31.57, 2.834, 20
3 3 -1, 34.60, 2.593, 20
3 1 3, 37.48, 2.399, 14

Atomic structure:
abc: 15.441 9.004 12.416
angles: 90.00 114.07 90.00
Space group Cc (No. 9)
Asymmetric unit:
Rb  0.000  0.186  0.000 x4
Rb  0.201  0.217  0.503 x4
Rb  0.309  0.285  0.011 x4
Mn  0.081  0.171  0.732 x4
Mn  0.204  0.456  0.231 x4
Mn  0.458  0.039  0.739 x4
P  0.015  0.421  0.533 x4
P  0.243  0.081  0.219 x4
P  0.408  0.416  0.714 x4
O  0.030  0.256  0.574 x4
O  0.111  0.495  0.072 x4
O  0.162  0.032  0.680 x4
O  0.207  0.239  0.181 x4
O  0.309  0.478  0.678 x4
O  0.322  0.036  0.183 x4
O  0.409  0.255  0.678 x4
O  0.447  0.000  0.079 x4
O  0.466  0.078  0.898 x4
O  0.470  0.484  0.176 x4
F  0.006  0.313  0.781 x4
F  0.089  0.400  0.283 x4
F  0.135  0.099  0.885 x4
F  0.189  0.337  0.776 x4
F  0.288  0.082  0.360 x4
F  0.290  0.419  0.385 x4
F  0.456  0.418  0.856 x4


Computed PXRD pattern of LiTiMnO4 for Cu Kα (λ = 1.5418 Å), from a GGA+U-relaxed structure.

The 10 most intense peaks (2θ from 15° to 90°), low angle first:
h k l, 2theta, d/Å, I/Imax
1 1 0, 17.98, 4.933, 90
2 0 -1, 18.23, 4.867, 100
********
-- The text goes on --

1) Words of Affirmation: A Little Goes a Long Way
Do you get butterflies in your stomach whenever you get complimented? Or feel giddy when your friends text you words of encouragement. Chances are that your preferred love language is Words of Affirmation!
Words of Affirmation, the most common love language, is primarily expressed through words and speech, rather than actions. Whether it’s just a simple compliment or a grand “I love you,” written or spoken, people who prefer this love language feel affirmed by any words of appreciation. The best part is that this form of affection can be expressed throughout any medium– even in the digital space!
While people feel appreciated through compliments and praise, brands feel the same when people like and favorite their posts! This is reflected in the social media metric Applause Rate. Brands take these into account in order to gauge what kind of content their audience would like to see. So make sure to show your favorite brands some more love affirmation by liking and favoriting their posts!
2) Physical Touch: Sharing is Caring
Remember that time when we could easily hug our friends and family? Oh, the good old days. In the age of COVID-19, people whose primary love language is Physical Touch may have felt lacking in this aspect. Due to quarantine and social distancing protocols, it has become considerably harder to physically reach out to your loved ones (we agree, virtual calls don’t always suffice either). But while it may be hard to give your friends a hug at the moment, you can easily show a brand your love for them by increasing its Virality Rate!
Virality Rate is an engagement metric that measures the number of shares a post gets relative to the number of impressions it gets during an amount of time. Brands and digital marketers use this to assess whether consumers find value in their content. People do often say that if you love someone, you should show them. Which is why, we believe that public display of affection also plays a role when it comes to this love language. Show off your brand and don’t be afraid to give it a big warm (virtual) hug by sharing their posts so you can share the love!

3) Receiving Gifts: It’s The Thought That Counts
Whoever said gift-giving was only for birthdays and holidays is wrong, because we do more giving than we expect. A lot of people whose love language is Receiving Gifts take great joy in the thoughtfulness of the individual. Gifts and gestures go a long way, and these can spell all the difference in a relationship. The same goes for what happens in the digital space. The factor of being thoughtful also comes into play before you give the actual gift.
Did you know that every time you click on an advertisement, the advertiser pays the publisher because you simply clicked on the ad? A simple click turns into money, a gift if you will. This Cost-Per-Click is the price for giving gifts (see what we did there?). The factor of thoughtfulness comes into play when we want to go beyond the ad and when we want to learn more about it, so we click. This thoughtfulness is exactly what drives the ability to give– whether it be actual gifts to loved ones or, really, just to the advertiser. So be generous and click on that ad already!
4) Quality Time: Just Between Us
Quality time can be described as “uninterrupted and focused conversations,” where “one-on-one time is critical.” This translates to special and intimate moments with loved ones, and while that seems pretty impossible in the digital space, we can still spend plenty of quality time with the brands and platforms we love.
Whenever we choose to subscribe to a newsletter, a channel, or a brand, we are adding to the Conversion Rate of a website. We deepen our interaction with that brand by choosing to subscribe, download, or sign up. This act of further engagement allows us to know more about the brand, strengthening the bond we have with it. It may sound silly, but imagine the first time you shared a meal with an acquaintance who turned out to be your best friend today. That shared meal is just the physical version of subscribing to a platform. You turn what could’ve just been any other platform into a beloved brand because of the decision to spend personal time with them. So click on that button, because who knows, you might just click with that brand!

**What comes next are materials data, not part of the article:**
=====
Theoretical powder XRD pattern of Zr6Al16Co7 for Cu Kα X-rays, from a crystal structure in the Materials Project, relaxed with GGA-PBE.
Lines closer than 0.1° are merged.

Atomic structure:
```
Zr6Al16Co7
1.0
0.0000 6.0206 6.0206
6.0206 0.0000 6.0206
6.0206 6.0206 0.0000
Zr Al Co
6 16 7
Cartesian
6.0206 6.0206 2.3509
6.0206 2.3509 6.0206
9.6903 6.0206 6.0206
2.3509 6.0206 6.0206
6.0206 9.6903 6.0206
6.0206 6.0206 9.6903
7.4477 4.5935 4.5935
1.9896 1.9896 1.9896
4.0310 4.0310 1.9896
4.0310 1.9896 4.0310
4.5935 4.5935 4.5935
7.4477 7.4477 4.5935
7.4477 4.5935 7.4477
10.0516 8.0102 8.0102
1.9896 4.0310 4.0310
4.5935 7.4477 4.5935
4.5935 4.5935 7.4477
7.4477 7.4477 7.4477
8.0102 10.0516 8.0102
8.0102 8.0102 10.0516
10.0516 10.0516 10.0516
4.5935 7.4477 7.4477
3.0103 3.0103 0.0000
3.0103 0.0000 3.0103
6.0206 3.0103 3.0103
0.0000 3.0103 3.0103
3.0103 6.0206 3.0103
3.0103 3.0103 6.0206
6.0206 6.0206 6.0206
```

The 10 most intense peaks (2θ = 5–70°), sorted by position:
- 29.68 deg, 3.010 Å, I 389
- 32.41 deg, 2.762 Å, I 337
- 36.56 deg, 2.458 Å, I 389
- 38.86 deg, 2.317 Å, I 849
- 42.47 deg, 2.129 Å, I 1000
- 45.18 deg, 2.007 Å, I 180
- 50.26 deg, 1.815 Å, I 102
- 58.91 deg, 1.568 Å, I 170
- 63.21 deg, 1.471 Å, I 115
- 65.81 deg, 1.419 Å, I 245

----------

Entry 1:
The following is a calculated powder X-ray diffraction pattern of Mn6O5F7. It was derived from DFT lattice parameters and positions (GGA+U), using CuKα.
No peak broadening, texture or thermal motion is included.

Atomic structure:
a = 9.3196 Å, b = 7.2840 Å, c = 6.3595 Å
α = 90.00°, β = 90.00°, γ = 90.00°
Space group Amm2 (No. 38)
Unique sites:
Mn 0.0000 0.0000 0.0000 x2
Mn 0.1656 0.0000 0.4988 x4
Mn 0.3246 0.0000 0.9970 x4
Mn 0.5000 0.0000 0.5258 x2
O 0.1636 0.0000 0.8010 x4
O 0.1648 0.0000 0.1957 x4
O 0.5000 0.0000 0.8230 x2
F 0.0000 0.1874 0.5005 x4
F 0.3343 0.1901 0.5042 x8
F 0.5000 0.0000 0.2070 x2

The 10 most intense peaks (5° ≤ 2θ ≤ 70°), by intensity:
| hkl | 2θ/deg | I/Imax |
| --- | --- | --- |
| 0 2 0 | 24.4 | 100 |
| 3 1 1 | 34.4 | 82 |
| 0 0 2 | 28.1 | 76 |
| 3 3 1 | 49.8 | 66 |
| 3 1 3 | 53.8 | 42 |
| 3 3 3 | 65.8 | 40 |
| 0 4 0 | 50.1 | 19 |
| 3 2 0 | 38.1 | 16 |
| 6 0 0 | 59.5 | 15 |
| 3 0 2 | 40.6 | 15 |

Entry 2:
The following is a calculated powder X-ray diffraction pattern of Li4V3FeO8. It was derived from DFT lattice parameters and positions (GGA+U), using CuKα.
No peak broadening, texture or thermal motion is included.

Atomic structure:
a = 5.9839 Å, b = 5.9847 Å, c = 5.9965 Å
α = 119.82°, β = 90.22°, γ = 119.84°
Space group P1 (No. 1)
Unique sites:
Li 0.0000 0.0000 0.0000 x1
Li 0.0021 0.4983 0.9996 x1
Li 0.4961 0.9939 0.0005 x1
Li 0.5030 0.4951 0.0011 x1
V 0.0007 0.4990 0.5000 x1
V 0.0008 0.9991 0.5001 x1
V 0.5011 0.9993 0.4996 x1
Fe 0.4993 0.4980 0.5005 x1
O 0.2102 0.4661 0.2747 x1
O 0.2141 0.9637 0.2703 x1
O 0.2784 0.0211 0.7287 x1
O 0.2929 0.5261 0.7282 x1
O 0.7090 0.4722 0.2716 x1
O 0.7225 0.9766 0.2712 x1
O 0.7871 0.0349 0.7297 x1
O 0.7906 0.5316 0.7256 x1
=====

5) Acts of Service: Going the Extra Step
We’ve all probably done Acts of Service in one way or another. Whether it’s opening the door for someone or volunteering to drive them somewhere, a little help goes a long way. Whatever it is, being able to help someone shows that you are there for them. Helping someone requires doing something else for the sake of another person. And we can measure this love language through the Click-Through Rate.
Whenever we click on links that let us learn more content about the brand, we’re expressing an act of service. We go out of our way to learn about the brand, basically opening the door for that brand to make way for them into our lives. And in so doing, we’re able to help out that brand by giving them one more customer, one more person with whom they can share their mission to. Make sure to take that extra click today!
Metrics as Measure of Love
There are many more metrics outside of the five we’ve mentioned, but we believe that it’s these which give us a good basis for whether we’ve been expressing the love languages enough or not. Of course, a level of brand awareness is needed before you can express your love, and the other end of that spectrum involves heartbreaks and bounce rates– you know, the one that got away.
At the end of the day, we all have our preferred love languages of giving and receiving. But the beauty of technology and the digital space is that it doesn’t limit us to the kind of love we can have and give. It doesn’t confine love as a noun, an adjective, or even a verb. Digital marketing allows it to be all these things at once, and we can be sure of this because we’ve figured out a way to measure it thanks to social media metrics.

# Inserted here: calculated crystals
- - -
(1)
For HfBe4Tc, a PBE-relaxed structure gives the theoretical powder diffraction line list in this record (Cu Kα X-rays).
Intensities are scaled so that the largest is 100.

Top 8 peaks for 10° ≤ 2θ ≤ 90°, by angle:
| Position (°2θ) | intensity |
| --- | --- |
| 23.89 | 100 |
| 39.51 | 86 |
| 46.70 | 64 |
| 57.11 | 12 |
| 62.78 | 21 |
| 71.67 | 30 |
| 76.77 | 20 |
| 89.98 | 17 |

Atomic structure:
a b c (Å): 4.5617 4.5617 4.5617
angles (deg): 60.00 60.00 60.00
Atoms (fractional coordinates):
Hf (0.0000, 0.0000, 0.0000)
Be (0.1313, 0.6229, 0.6229)
Be (0.6229, 0.1313, 0.6229)
Be (0.6229, 0.6229, 0.1313)
Be (0.6229, 0.6229, 0.6229)
Tc (0.2500, 0.2500, 0.2500)

(2)
For RbCu4Se4, a PBE-relaxed structure gives the theoretical powder diffraction line list in this record (Cu Kα X-rays).
Intensities are scaled so that the largest is 100.

Top 8 peaks for 10° ≤ 2θ ≤ 90°, by angle:
| Position (°2θ) | intensity |
| --- | --- |
| 26.28 | 20 |
| 28.65 | 100 |
| 32.25 | 34 |
| 32.76 | 39 |
| 41.93 | 27 |
| 44.84 | 78 |
| 53.76 | 26 |
| 56.63 | 46 |

Atomic structure:
a b c (Å): 4.0427 4.0427 13.6673
angles (deg): 90.00 90.00 120.00
Atoms (fractional coordinates):
Rb (0.0000, 0.0000, 0.0000)
Cu (0.3333, 0.6667, 0.3586)
Cu (0.3333, 0.6667, 0.7884)
Cu (0.6667, 0.3333, 0.2116)
Cu (0.6667, 0.3333, 0.6414)
Se (0.0000, 0.0000, 0.4115)
Se (0.0000, 0.0000, 0.5885)
Se (0.3333, 0.6667, 0.1801)
Se (0.6667, 0.3333, 0.8199)

(3)
For CsNbBr6, a PBE-relaxed structure gives the theoretical powder diffraction line list in this record (Cu Kα X-rays).
Intensities are scaled so that the largest is 100.

Top 8 peaks for 10° ≤ 2θ ≤ 90°, by angle:
| Position (°2θ) | intensity |
| --- | --- |
| 16.51 | 58 |
| 22.63 | 99 |
| 28.39 | 100 |
| 29.44 | 80 |
| 36.07 | 53 |
| 36.41 | 74 |
| 41.66 | 46 |
| 49.59 | 56 |

Atomic structure:
a b c (Å): 7.8967 7.8967 7.8967
angles (deg): 55.49 55.49 55.49
Atoms (fractional coordinates):
Cs (0.0000, 0.0000, 0.0000)
Nb (0.5000, 0.5000, 0.5000)
Br (0.1002, 0.5899, 0.5899)
Br (0.4101, 0.4101, 0.8998)
Br (0.4101, 0.8998, 0.4101)
Br (0.5899, 0.1002, 0.5899)
Br (0.5899, 0.5899, 0.1002)
Br (0.8998, 0.4101, 0.4101)

(4)
For Gd2DyCd3Au3, a PBE-relaxed structure gives the theoretical powder diffraction line list in this record (Cu Kα X-rays).
Intensities are scaled so that the largest is 100.

Top 8 peaks for 10° ≤ 2θ ≤ 90°, by angle:
| Position (°2θ) | intensity |
| --- | --- |
| 32.31 | 73 |
| 35.00 | 100 |
| 35.09 | 19 |
| 39.96 | 51 |
| 42.15 | 38 |
| 46.21 | 23 |
| 62.71 | 27 |
| 64.50 | 23 |

Atomic structure:
a b c (Å): 3.9293 7.8115 7.8115
angles (deg): 119.88 90.00 90.00
Atoms (fractional coordinates):
Gd (0.0000, 0.2019, 0.7981)
Gd (0.0000, 0.7981, 0.2019)
Dy (0.0000, 0.3942, 0.3942)
Cd (0.5000, 0.0598, 0.0598)
Cd (0.5000, 0.5364, 0.7976)
Cd (0.5000, 0.7976, 0.5364)
Au (0.0000, 0.7974, 0.7974)
Au (0.5000, 0.1329, 0.4644)
Au (0.5000, 0.4644, 0.1329)

(5)
- - -
# Back to the page

The Power of Love (Languages) in Digital Marketing
This technology-driven world has encouraged us to be more self-aware, for better or worse. It brought us a way to qualify and quantify the love and attachment we have for brands. Fortunately, it doesn’t end with the numbers.
To be fluent in love languages is also about learning to love sincerely. When faced with infinite brands and pages, it’s extremely challenging, and even crippling, to make your next move. This crucial point is when digital marketing comes in and helps you realize what’s best for you– what it is that you want to know more about so you can subscribe, click, and fall in love. Because without digital marketing, we wouldn’t know how to truly love (at least in the virtual world).